Category Archives: Health & Wellbeing

Bonjour tout le monde!

Bonjour everyone, 🇫🇷
This week our learning will be focused around languages, of all sorts, Arts & Crafts and ICT.

Miss Lawson says: “This week, I have made a ‘virtual nursery’ which you can access through the green link below. On here there are lots of different activity ideas, videos and links. Please have a play with it. As there is a holiday weekend coming up, I have included enough activities for both this week and next.”

Skills Academy:

This week  we’re making French crêpes to celebrate Languages Week. Below is a recipe. A short demonstration video is also available on Google Classrooms. Enjoy!

How are you Feeling?

How are you feeling today?
Miss Hampton has recommended this great story about all our different feelings.  It is called Lucy’s Blue Day and is written by Christopher Duke.

You can listen to Lorraine Kelly reading the story by clicking on this link:
It’s a very good book to read, especially on a day when you might be feeling not quite right. Miss Hampton has suggested that:
“if you are missing your friends or your other family members, maybe you could draw them a picture or write them a letter. Maybe your grown-ups could help you to post it or email it. I hope you enjoy the story as much as I did and afterwards you could discuss it with your grownups. What was your favourite part of the story? What didn’t you like? Was it thumbs up, so so, or thumbs down? Do you ever have happy, angry or sad days? What makes you feel better? Talking about my feelings always makes me feel better, or a walk outside in the fresh air.”


*Yoga Bugs and Tongue Drums*

We have been very busy  this week exploring many different ways to enhance our health and wellbeing.   Let’s have a look at some of the fabulous experiences  the Red Group have been doing.

Confidence and self esteem

Dare to be different


Crazy hair and yoga cobra pose!     

Yoga can be done anywhere you feel comfortable! Trying out  the spider pose …..this strengthens and activates core muscles….also…..helps to refine fine motor skills (e.g writing and dressing) by activating shoulder muscles and many more benefits, as well as being relaxing and lots of fun challenging yourself!

Mindful Walking







On our mindful walk we stopped to focus on our thoughts and sensations in our bodies  with our eyes closed……….


Bumble Bee pose – find your happy hum!
Building resilience and self esteem

We are  ‘All Kinds of People’  – we had fun mixing paint to match our own different skin tones and making a self portrait.

“My skin’s not that colour, maybe if I mix white and orange”
“I’ve got blonde hair
“My hair is pink and brown”

Have a look at our resources!

Feeling thankful with the Purple Group

This week the children have been helping Mrs Walker develop our block area, the children have shown a particular interest in building castles, they have been developing their mathematical language as they described their castles.

‘My castle is taller than ………., but hers is longer’ 

‘I built a long castle for the Queen’ 

‘My castle is like the Statue of Liberty, really tall and the colour teal, the statue of Liberty is in New York in America’

As part of Health and Wellbeing Week, we have been discovering what our peers are thankful for. The children thought carefully about this, and posted their answer in our gratitude jar.

‘I am thankful for my Mum’ 

Records of molecules, kept here for reference.
********
# C17H31FeN4O

C17H31FeN4O as an isolated structure in a non-equilibrium geometry (ωB97M-V with the def2-TZVPD basis set, the Open Molecules 2025 dataset).

calculated total energy: -2223.4374 hartree
charge: +2
⟨S²⟩: 8.7691
Kohn-Sham gap (spin up / spin down): 0.2599 / 0.0871 Ha
ΔE to the lowest compared entry with this formula, charge and spin: 100.2 kcal/mol
LUMO level (spin up / spin down): -8.478 / -13.175 eV
spin multiplicity: 6

XYZ file:
```
54
Properties=species:S:1:pos:R:3:forces:R:3:mulliken_charge:R:1
Fe -1.954 3.098 1.601 1.1 -1.5 0.3 1.32
C -0.253 0.623 0.763 0.1 -0.5 0.1 0.37
O -0.822 1.791 1.262 -0.9 1.6 0.0 -0.65
H 0.533 0.824 0.029 -0.2 0.2 -0.1 0.20
H 0.228 0.065 1.573 -0.2 0.1 0.1 -0.02
H -1.047 0.000 0.342 0.1 -0.1 -0.1 -0.26
C -0.344 -1.230 -3.578 0.2 0.1 -0.5 -1.49
C -1.394 -1.158 -2.505 1.1 0.0 0.6 0.36
C -2.796 -1.760 -2.923 -0.9 -0.1 -0.5 -0.12
C -3.463 -1.180 -4.017 0.1 0.5 0.1 0.18
N -4.016 -0.662 -4.943 0.1 -0.2 0.1 -0.08
H -0.446 -0.517 -4.397 -0.4 0.0 0.1 0.42
H -0.286 -2.232 -4.010 0.1 0.0 0.0 0.47
H 0.643 -1.012 -3.163 -0.1 -0.1 0.2 0.33
H -1.515 -0.171 -2.049 -0.5 0.1 -0.5 0.19
H -1.090 -1.783 -1.661 -0.2 -0.2 -0.1 0.01
H -3.491 -1.824 -2.084 0.1 -0.1 0.1 0.35
H -2.534 -2.753 -3.354 0.1 -0.1 0.3 0.38
C 0.339 2.833 -2.665 -0.2 -0.5 0.1 -0.98
C 1.361 1.914 -3.311 0.3 -0.9 -0.8 -0.10
C 2.533 2.620 -3.980 0.5 1.0 0.1 -0.63
C 2.081 3.577 -4.999 -0.1 0.1 -0.2 0.15
N 1.726 4.323 -5.799 0.0 -0.2 0.2 -0.38
H -0.180 3.430 -3.414 0.0 0.1 0.0 0.46
H 0.762 3.500 -1.912 0.2 0.0 -0.1 0.31
H -0.389 2.197 -2.147 -0.2 0.2 0.0 0.07
H 0.919 1.303 -4.109 -0.4 0.3 0.0 0.03
H 1.720 1.121 -2.646 0.3 0.5 0.4 0.38
H 3.269 1.977 -4.462 -0.2 -0.3 0.1 0.34
H 3.096 3.217 -3.254 0.0 -0.1 0.1 0.32
C 3.265 2.190 4.732 -0.4 -0.1 0.5 -1.18
C 3.127 0.862 3.997 0.0 0.0 0.4 -0.38
C 1.902 0.056 4.440 -0.6 -0.4 -0.5 -0.21
C 0.630 0.786 4.405 -0.2 0.3 0.2 0.21
N -0.380 1.339 4.435 0.2 0.0 -0.4 -0.49
H 2.968 2.068 5.778 0.2 -0.1 0.0 0.32
H 2.569 2.937 4.347 0.2 0.1 -0.2 0.31
H 4.281 2.573 4.737 0.0 0.1 -0.2 0.37
H 3.968 0.204 4.216 0.2 0.2 -0.2 0.32
H 3.081 1.019 2.918 0.1 -0.1 0.0 0.24
H 1.975 -0.382 5.437 0.3 0.2 0.1 0.41
H 1.774 -0.793 3.760 0.0 0.0 0.1 0.11
C -1.088 -3.123 3.037 -0.5 -0.2 0.1 -1.39
C -1.226 -3.293 1.525 0.7 1.1 0.2 -0.15
C -2.644 -3.054 0.988 0.3 -0.7 0.8 -0.20
C -3.189 -1.759 1.401 0.1 -0.4 -0.4 0.26
N -3.679 -0.776 1.723 0.1 0.6 0.0 -0.47
H -1.565 -3.946 3.572 0.1 -0.1 0.0 0.37
H -1.589 -2.222 3.398 0.2 0.1 -0.1 0.38
H -0.036 -3.084 3.314 0.0 -0.1 0.1 0.33
H -0.793 -4.248 1.234 -0.4 -0.1 -0.2 0.45
H -0.585 -2.525 1.070 0.0 -0.1 -0.1 0.01
H -3.296 -3.804 1.445 -0.2 -0.1 -0.3 0.40
********
Here the text continues.

‘I am thankful when my Grandpa kisses and hugs me’ 

‘I am thankful because my Mum takes me to the park all the time’ 

We have also been taking part in a wide range of activities outdoors. We were making muddy handprints and creating obstacle courses, developing their gross motor skills and problem solving skills. Well done everyone.


We are Together

Continuing with Health & Wellbeing Week, the Pink and Yellow groups have been exploring feelings through various props in the Story Box, inspired by the lovely book “We are Together” by Britta Teckentrup. It is a story about self belief, resilience, and the power of friendship.

“Look at this… Sun up in the sky with rain. The rain becomes a rainbow!” “I don’t mind rain.”  “I hate rain.” “This one is a shooting star.”

As they played with the props the children also began telling their own stories:
“Evil seagulls come out when there’s a storm. The butterfly will wait” (till the storm has passed)

“We need to add more people.”

“This sounds like birds singing.”

“This one makes it heavier.”

Aw… all cooried up with a soft blanket and heart pillow…

”If storm clouds gather and we’re caught in the rain,
Let’s splash through the puddles until the sun shines again.”
(from “We are Together”)

Health and Well-being with green and blue

For health and well-being week we have been discussing and learning all about our differences and similarities.

We have been reading “Elmer the Elephant“ which conveys the important message of being proud of who you are despite your differences. The children used the character puppets to act out the story as Mrs Branco read to them.

With a choice of a variety of different materials the children were able to create their own transient art elephants.

Some of the children also decorated an elephant picture to take home. Lots of glueing, sticking and colouring to help develop our fine motor skills.


Following on from Elmer the children listened to the story “All Kinds of People” , helping us to visualise the differences there are in people. They then used mirrors to assist in their self portraits, this opened up a dialogue between the children about hair colour, eye colour, height and skin tone etc.

We were able to express to our friends the things we liked about their pictures and the differences between us. Each picture was beautiful and unique just the same as us!


Feeling Groovy 🌞🙏🏼

It is Health and Wellbeing Week! In Pink and Yellow groups we are thinking about our differences & similarities, our feelings, and how to keep ourselves feeling good, relaxed and strong.

Monday is Dare to be Different Day. So we have had cool purple hair, some odd socks and some unusual yet fabulous style choices!

We’ve been talking about the ways we are different and the same.
“I don’t like spiders.”  “I like sprouts!”  “I have blond hair.”  “We all have brains…” “And skeletons.”

Our “Different Together” paper chain:

At Signing- In time each child chose a different patterned strip  to write their name on. We all have different favourite colours and patterns, and we joined them together to make a big paper chain.

We have been talking about different types of people and creating our own tiny people with lollipop sticks, pipe cleaners, buttons, felt, lace, wool and other materials.

“I want her to have red hair at the back and the front. She has a lovely smile.”  
“I’m going to add this for a hat.”
“Let’s play with them…”

Noo-Noo (left)
was feeling lonely because of being a bit different, but look how many friends the children have made for Noo-Noo now!

Tuesday is Bounce Back day, all about resilience.  At Together Time, the children all thought of things that make them feel happy and put them in a Thank You Jar with a coloured feather.

Here are some of the things we are grateful for:
“Star Wars and ice cream,” “Pink, and birdies in my garden”, “Daddy, Mummy” , “My sisters” ,”Squirrels in my gardens, and cats… and jewels”, “Tigers and Pokémon.” “The colour red” ,”Jingle bells” “Tickly feathers” , “My puppy and my two guinea pigs”, “Music in your heart.”
Afterwards we made some Sunshine sticks:

Keep smiling!

The Great Outdoors 🌳🍁

The Yellow and Pink groups have been having a variety of outdoor adventures. Today we went on a local walk for a Nature Scavenger Hunt, looking out for different coloured leaves, spider webs and birds. We ticked off all of them!
We stopped to collect pine cones in the lane. We are going to wash, dry and paint them later. “We’ve found tons!”

We enjoyed feeling the beautiful tree bark.
“It feels scratchy”   “Look, I found more moss.”

“Here’s some yellow leaves!”  “Look! Spider webs!”
We also came across some blackberries and interesting fungi.
“The birds will eat them” (berries) 

“Some of them are poisonous, so you don’t touch them”

We then walked round to the back of the new nursery building for a sneak peek at how it is coming along.

Back at  nursery, various outdoor investigations and physical challenges have been taking place:

Balancing, transporting, and building core strength

Ingenious minds construct their own see-saw

After all that… a well deserved Snack.


Purple Group Adventures

The Purple Group have settled back into Nursery life really well.  We have been establishing old and new friendships, following routines and learning lots of exciting things.

We have been spending a  lot of time outdoors, accessing all aspects of the curriculum.

We love getting our wet suits on and exploring in the rain.

We have been exploring symmetry through a variety of different experiences.  The children  created butterflies and used transient art to develop their awareness of symmetry in their local environment.

Making tea in the water tray stimulated our senses. We have enjoyed taking part in a lot of different sensory activities across the playroom and outdoors.